Excerpt:
# NiPb2WO6
Theoretical X-ray powder pattern, copper Kα. Input: a crystal structure in the Materials Project, relaxed with PBE+U.
Kinematic intensities with the Lorentz-polarization factor, no thermal factor.

Peak list (8 most intense, 15 to 90 degrees two-theta, in order of rising 2θ)
Position (°2θ), intensity
19.05, 8.3
31.36, 100.0
38.66, 6.8
44.94, 27.2
55.82, 40.8
65.43, 17.1
74.35, 18.0
82.90, 5.9

Crystal structure
abc: 5.705 5.705 5.705
angles: 60.00 60.00 60.00
Sites, in units of the cell vectors:
Ni 0.000 0.000 0.000
Pb 0.250 0.250 0.250
Pb 0.750 0.750 0.750
W 0.500 0.500 0.500
O 0.258 0.258 0.742
O 0.258 0.742 0.258
O 0.258 0.742 0.742
O 0.742 0.258 0.258
O 0.742 0.258 0.742
O 0.742 0.742 0.258

***

# PrNiO3
Theoretical X-ray powder pattern, copper Kα. Input: a crystal structure in the Materials Project, relaxed with PBE+U.
Kinematic intensities with the Lorentz-polarization factor, no thermal factor.

Peak list (8 most intense, 15 to 90 degrees two-theta, in order of rising 2θ)
Position (°2θ), intensity
22.97, 14.5
32.69, 100.0
32.76, 18.0
40.34, 14.8
46.93, 32.8
58.31, 26.0
58.43, 19.1
78.02, 13.8

Crystal structure
abc: 5.467 7.745 5.485
angles: 90.00 90.00 90.00
Sites, in units of the cell vectors:
Pr 0.037 0.250 0.008
Pr 0.463 0.750 0.508
Pr 0.537 0.250 0.492
Pr 0.963 0.750 0.992
Ni 0.000 0.000 0.500
Ni 0.000 0.500 0.500
Ni 0.500 0.000 0.000
Ni 0.500 0.500 0.000
O 0.010 0.750 0.425
O 0.219 0.541 0.780
O 0.219 0.959 0.780
O 0.281 0.041 0.280
O 0.281 0.459 0.280
O 0.490 0.250 0.925
O 0.510 0.750 0.075
O 0.719 0.541 0.720
O 0.719 0.959 0.720
O 0.781 0.041 0.220
O 0.781 0.459 0.220
O 0.990 0.250 0.575

***

# PrNiO3
Theoretical X-ray powder pattern, copper Kα. Input: a crystal structure in the Materials Project, relaxed with PBE+U.
Kinematic intensities with the Lorentz-polarization factor, no thermal factor.

Peak list (8 most intense, 15 to 90 degrees two-theta, in order of rising 2θ)
Position (°2θ), intensity
23.04, 24.7
32.30, 100.0
33.32, 97.9
40.05, 20.5
47.09, 57.5
57.61, 24.0
58.26, 40.9
60.18, 17.8

Crystal structure
abc: 5.383 5.383 5.383
angles: 61.98 61.98 61.98
Sites, in units of the cell vectors:
Pr 0.250 0.250 0.250
Pr 0.750 0.750 0.750
Ni 0.000 0.000 0.000
Ni 0.500 0.500 0.500
O 0.182 0.750 0.318
O 0.250 0.682 0.818
O 0.318 0.182 0.750
O 0.682 0.818 0.250
O 0.750 0.318 0.182
O 0.818 0.250 0.682

***

# SrPrNiRuO6
Theoretical X-ray powder pattern, copper Kα. Input: a crystal structure in the Materials Project, relaxed with PBE+U.
Kinematic intensities with the Lorentz-polarization factor, no thermal factor.

Peak list (8 most intense, 15 to 90 degrees two-theta, in order of rising 2θ)
Position (°2θ), intensity
31.64, 22.6
31.96, 100.0
32.10, 24.9
45.69, 25.9
45.96, 15.0
56.56, 13.6
57.14, 33.3
66.81, 14.0

Crystal structure
abc: 5.578 5.656 9.664
angles: 90.00 125.18 90.00
Sites, in units of the cell vectors:
Sr 0.000 0.216 0.000
Sr 0.000 0.784 0.500
Pr 0.516 0.302 0.498
Pr 0.516 0.698 0.998
Ni 0.256 0.244 0.749
Ni 0.256 0.756 0.249
Ru 0.755 0.247 0.250
Ru 0.755 0.753 0.750
O 0.088 0.238 0.493
O 0.088 0.762 0.993
O 0.444 0.271 0.005
O 0.444 0.729 0.505
O 0.512 0.050 0.294
O 0.512 0.950 0.794
O 0.581 0.476 0.789
O 0.581 0.524 0.289
O 0.907 0.038 0.705
O 0.907 0.962 0.205
O 0.991 0.465 0.212
O 0.991 0.535 0.712

***

# Sr2PrNiO6
Theoretical X-ray powder pattern, copper Kα. Input: a crystal structure in the Materials Project, relaxed with PBE+U.
Kinematic intensities with the Lorentz-polarization factor, no thermal factor.

Peak list (8 most intense, 15 to 90 degrees two-theta, in order of rising 2θ)
Position (°2θ), intensity
30.49, 100.0
35.92, 6.8
43.66, 32.8
54.18, 38.6
63.45, 19.5
72.02, 18.0
80.19, 6.3
88.16, 21.3

Crystal structure
abc: 5.864 5.864 5.864
angles: 60.00 60.00 60.00
Sites, in units of the cell vectors:
Sr 0.250 0.250 0.250
Sr 0.750 0.750 0.750
Pr 0.000 0.000 0.000
Ni 0.500 0.500 0.500
O 0.276 0.276 0.724
O 0.276 0.724 0.276
O 0.276 0.724 0.724
O 0.724 0.276 0.276
Brief:
Next, search the material further above for the word "vectors" and type out each line that has it.
Result:
Sites, in units of the cell vectors:
Sites, in units of the cell vectors:
Sites, in units of the cell vectors:
Sites, in units of the cell vectors:
Sites, in units of the cell vectors: